#GT2012: Jodi Brockington Brings Her Networking Game to The Challenge – Black Enterprise
Career Women

#GT2012: Jodi Brockington Brings Her Networking Game to The Challenge

Being a master networker is not an easy task, but it is essential to business and life. Whether moving into a new neighborhood or seeking to develop professional relationships, connecting with others is essential for helping others and gaining what we need.

Jodi Brockington has been building relationships at a first-class level for years and has become known in the private and nonprofit sectors as a smart, resourceful, and key element to helping connect brands. Talented in many areas, her most salient role is as “Master Connector” through her firm Niara Consulting, her site friendsofjodi.com, and her everyday lifestyle.

Attending the Black Enterprise Pepsi Golf and Tennis Challenge for the eleventh time this fall, Brockington will be bringing many “Friends of Jodi” along with her and continues to encourage others to attend. She shares her experiences and offers how to get the most out of this year’s event:

BE: How did and why have you become known as a Master Connector?

The title was given to me of Marc H. Morial current president and CEO of the National Urban League because he would meet so many people that knew me; he started to call me that when he met them. I also have the qualities of what Malcolm Gladwell describes as a “Connector” in The Tipping Point.

## Inserted here: data records
+++
# 1
Na6Ca6Hf2SiS11O48 | Materials Project | PBE | optimized geometry; calculated density = 2.70 g/cm3; spin magnetization = 0.0 μB per cell; E_form = -2.544 eV/atom; DFT total energy = -6.5347 eV per atom; V = 15.643 Å³/atom
1.0
-15.8235 1.9604 -9.0156
0.0881 -3.8776 8.2796
-3.1200 21.5076 10.0285
O S Na Si Hf Ca
144 33 18 3 6 18
direct
0.0665 0.6727 0.4639
0.2361 0.3057 0.7446
0.9270 0.3165 0.5354
0.9343 0.5699 0.0381
0.5657 0.6797 0.4658
0.0579 0.4596 0.8645
0.9151 0.0209 0.7970
0.3308 0.1361 0.4199
0.4294 0.3182 0.5357
0.2669 0.8749 0.3692
0.4860 0.8015 0.0868
0.8982 0.8212 0.1958
0.3472 0.1829 0.7417
0.9267 0.3418 0.6364
0.1765 0.4712 0.3674
0.4290 0.3274 0.9178
0.6060 0.0222 0.5900
0.9291 0.3281 0.9186
0.5957 0.1809 0.0845
0.0828 0.9876 0.9043
0.1610 0.4585 0.7583
0.3388 0.1211 0.0331
0.6475 0.8724 0.9656
0.3930 0.7956 0.1999
0.7289 0.3236 0.0370
0.5835 0.4833 0.2633
0.9091 0.7964 0.5872
0.3310 0.5214 0.6322
0.1091 0.0198 0.2991
0.4084 0.0021 0.0866
0.0559 0.6585 0.3617
0.8886 0.9872 0.6849
0.5242 0.2438 0.2040
0.1730 0.4853 0.0798
0.6607 0.4584 0.7583
0.0886 0.9908 0.1984
0.5691 0.6608 0.3646
0.0589 0.4877 0.5873
0.6602 0.4604 0.4637
0.7446 0.1482 0.6353
0.1917 0.8837 0.5876
0.4277 0.3414 0.6365
0.7706 0.6519 0.8650
0.2495 0.3633 0.4189
0.3382 0.5495 0.5302
0.7895 0.7075 0.9651
0.5089 0.1827 0.9045
0.9832 0.1796 0.5899
0.4157 0.0204 0.7971
0.1071 0.1776 0.7994
0.7646 0.8560 0.0798
0.1028 0.2142 0.6988
0.6586 0.8398 0.2638
0.6691 0.4801 0.3621
0.4318 0.3363 0.2481
0.4429 0.5368 0.1345
0.4349 0.5138 0.4129
0.9120 0.7832 0.3035
0.5834 0.9873 0.9048
0.4100 0.7990 0.5861
0.7563 0.8515 0.3682
0.5909 0.2082 0.4088
0.5582 0.4599 0.8640
0.0055 0.1979 0.1975
0.4844 0.7876 0.7996
0.8511 0.1305 0.0347
0.9171 0.0157 0.0922
0.0085 0.8215 0.4172
0.3368 0.5290 0.9194
0.8129 0.1213 0.4132
0.0643 0.4249 0.9651
0.2577 0.6464 0.5853
0.3953 0.7799 0.3020
0.2681 0.6545 0.8688
0.3888 0.9872 0.6847
0.7307 0.1410 0.5339
0.8947 0.9773 0.4117
0.6028 0.2143 0.6988
0.5088 0.7972 0.6992
0.4005 0.9669 0.4162
0.2561 0.8442 0.7523
0.4842 0.1791 0.5896
0.2298 0.1384 0.5350
0.5082 0.8167 0.4104
0.0953 0.1980 0.4151
0.9127 0.5329 0.7442
0.7444 0.3675 0.4111
0.7358 0.3052 0.7449
0.9954 0.8215 0.0947
0.8362 0.5404 0.5341
0.4125 0.5327 0.7439
0.5693 0.6594 0.0787
0.7234 0.3443 0.1387
0.1712 0.8852 0.8650
0.2139 0.2981 0.0343
0.6067 0.1773 0.7994
0.0082 0.1818 0.9047
0.0090 0.7979 0.6993
0.1633 0.4548 0.4687
0.5646 0.4262 0.9647
0.6731 0.4894 0.0806
0.0775 0.4667 0.2456
0.9260 0.3163 0.2421
0.3256 0.1070 0.1344
0.2335 0.3542 0.1343
0.7569 0.6450 0.5865
0.2571 0.8488 0.0803
0.2349 0.1436 0.9178
0.4094 0.8326 0.9049
0.0633 0.6633 0.7585
0.7545 0.6816 0.2601
0.0720 0.6705 0.0816
0.2301 0.1402 0.2398
0.1416 0.8324 0.2456
0.8470 0.1831 0.7416
0.6005 0.9599 0.2019
0.4936 0.2075 0.3034
0.8322 0.5079 0.2436
0.4305 0.5470 0.0338
0.7356 0.1434 0.9193
0.7710 0.8677 0.4693
0.9475 0.5502 0.1393
0.3395 0.5252 0.2482
0.2637 0.6819 0.2511
0.9310 0.5126 0.4166
0.5631 0.6625 0.7584
+++

I don’t care if I connect you to someone where you make a zillion dollars because I do it because I love helping people. If you needed to go to Paris next week and needed a vegan restaurant I could help you. If I don’t know then I know someone who won’t send you to a shabby place.

I have had success in this area because I have a standard to my connections as well. People know that if I suggest something, the quality has to be above par.  I also have a line that I draw with people as well. All of my clients through Niara Consulting have to do something beyond [helping] themselves; that’s because that is what I have done over time.

My friend Kim Wright gave me the FOJ (Friends of Jodi) title because when we used to go out, that’s what she would call the people I knew: “Oh, you’re an FOJ?” (laughs).

BE: Why do you take networking seriously as a business professional and leader?

I think of networking not as the term but as the action. I consider networking to be relationship building: “If you want to go fast, you go alone. If you want to go far, you go with others.”

**Calculated crystals, kept here for reference**
~~~
# 1
Density functional theory data (GGA+U) for Na6MnS4O16 after structural relaxation.

Lattice parameters (Å, degrees): 8.4212 9.4002 10.0112 90.00 113.70 90.00
Closest atoms and distances in Å follow each position.
Sites, in units of the cell vectors:
O 0.5769 0.1040 0.1367  1 S 1.49
O 0.6582 0.3119 0.0307  1 S 1.51
O 0.8411 0.1045 0.0963  1 S 1.49
O 0.5018 0.5848 0.3546  1 S 1.48
O 0.1799 0.7448 0.7117  1 S 1.48
O 0.8418 0.8119 0.9693  1 S 1.51
O 0.8587 0.3065 0.6683  1 S 1.49
O 0.6799 0.7552 0.7117  1 S 1.48
O 0.1589 0.8955 0.9037  1 S 1.49
O 0.3418 0.6881 0.9693  1 S 1.51
O 0.8180 0.6042 0.4640  1 S 1.49
O 0.3411 0.3955 0.0963  1 S 1.49
O 0.6413 0.8065 0.3317  1 S 1.49
O 0.1820 0.3958 0.5360  1 S 1.49
O 0.3292 0.4036 0.7971  1 S 1.51
O 0.9231 0.6040 0.8633  1 S 1.49
O 0.6820 0.1042 0.5360  1 S 1.49
O 0.3201 0.2448 0.2883  1 S 1.48
O 0.8292 0.0964 0.7971  1 S 1.51
O 0.0018 0.9152 0.3546  1 S 1.48
O 0.1413 0.6935 0.3317  1 S 1.49
O 0.3587 0.1935 0.6683  1 S 1.49
O 0.1708 0.9036 0.2029  1 S 1.51
O 0.0769 0.3960 0.1367  1 S 1.49
O 0.4231 0.8960 0.8633  1 S 1.49
O 0.1582 0.1881 0.0307  1 S 1.51
O 0.4982 0.4152 0.6454  1 S 1.48
O 0.9982 0.0848 0.6454  1 S 1.48
O 0.8201 0.2552 0.2883  1 S 1.48
O 0.3180 0.8958 0.4640  1 S 1.49
O 0.6708 0.5964 0.2029  1 S 1.51
O 0.6589 0.6045 0.9037  1 S 1.49
Na 0.5322 0.9847 0.6886  6 O 2.40-2.59
Na 0.3165 0.1373 0.8893  4 O 2.35-2.58
Na 0.6835 0.8627 0.1107  4 O 2.35-2.58
Na 0.8165 0.3627 0.8893  4 O 2.35-2.58
Na 0.9111 0.8488 0.5530  5 O 2.39-2.49
Na 0.4111 0.6512 0.5530  5 O 2.39-2.49
Na 0.4678 0.0153 0.3114  6 O 2.40-2.59
Na 0.0889 0.1512 0.4470  5 O 2.39-2.49
Na 0.9678 0.4847 0.3114  6 O 2.40-2.59
Na 0.5889 0.3488 0.4470  5 O 2.39-2.49
Na 0.1835 0.6373 0.1107  4 O 2.35-2.58
Na 0.0322 0.5153 0.6886  6 O 2.40-2.59
S 0.7751 0.6937 0.8591  4 O 1.48-1.51
S 0.8448 0.1484 0.6603  4 O 1.48-1.51
S 0.1552 0.8516 0.3397  4 O 1.48-1.51
S 0.3448 0.3516 0.6603  4 O 1.48-1.51
S 0.6552 0.6484 0.3397  4 O 1.48-1.51
S 0.2249 0.3063 0.1409  4 O 1.48-1.51
S 0.2751 0.8063 0.8591  4 O 1.48-1.51
S 0.7249 0.1937 0.1409  4 O 1.48-1.51
Mn 0.0000 0.0000 0.0000  6 O 2.16-2.17
Mn 0.5000 0.5000 0.0000  6 O 2.16-2.17

density = 2641 kg/m3
energy of formation from the pure elements = -2.183 eV/atom

=====

# 2
Density functional theory data (GGA+U) for Li9Mn2Co5O16 after structural relaxation.

Lattice parameters (Å, degrees): 2.9072 5.9069 17.1426 89.80 90.00 90.00
Closest atoms and distances in Å follow each position.
Sites, in units of the cell vectors:
Li 0.5000 0.0000 0.5000  6 O 2.09-2.16
Li 0.0000 0.7544 0.3867  5 O 2.04-2.19
Li 0.0000 0.2456 0.6133  5 O 2.04-2.19
Li 0.0000 0.7528 0.8710  5 O 2.02-2.20
Li 0.0000 0.2472 0.1290  5 O 2.02-2.20
Li 0.5000 0.9978 0.7424  5 O 2.00-2.18
Li 0.5000 0.0022 0.2576  5 O 2.00-2.18
Li 0.5000 0.5000 0.0000  6 O 2.11-2.13
Li 0.5000 0.5000 0.5000  6 O 2.06-2.23
O 0.5000 0.0284 0.8735  2 Mn 1.97, 1 Co 2.17, 2 Li 2.18
O 0.0000 0.7316 0.2388  1 Mn 1.95, 2 Co 2.07, 2 Li 2.18
~~~

I am not where I am now by myself. It took lots of people. Many say “it takes a village” and I believe that sometimes you have to create your own. Villages these days are networks. Networking and relationship building is not so much ‘What can I do for me?’ but ‘What can I do for others?’ More often my networking includes how I can help others.

Being a Master Connector means that I always think about how I can make the lives of others more fulfilling. This is vital as you move up the success ladder. The kinds of people you need for your network change and they should be able to interchange. A lot of people I know do not know each other but they know my brand and what I can bring. Oftentimes there will be a job opportunity, a contract, fellowship, or internship available and ten people who do not know each other will send it to me.

Further, I take relationship building seriously because you can network for professional and personal purposes. For example, as a dog owner, I needed to find out who has the best veterinarians when I moved to Harlem. I had questions: Which was the best clinic that was closest one to my house? What’s the best company for a dog walker and a dog sitter because I travel? I knew about those in the Upper West Side because I grew up there, but they were not around the corner in case there was an emergency.  Where are the dog parks? Has nothing to do with business, but at the end of the day, I needed that information.

So I went to the dog park and other dog owners that looked like they were taking care of my dog to the level that I take care of mine are the ones I ask. If I need a dog walker I want to help them build their business. I say, “How many more dogs would it take you to work on your own versus working for an agency?” So because I am professional and would give referrals, I would get extra dog walks, a free dog sitting here and there. Sometimes when you go out at things personally, where you’re not looking for a pay back or something, often is where they pay big.

BE: Why did you start attending the Golf and Tennis Challenge?

**Next to the article, the page also holds records of crystals**
=====
## Gd3InO6 (r²SCAN)

Data for crystalline Gd3InO6 at its relaxed geometry.

Cell: 6.7124 6.7124 6.7124 Å, 92.20 92.20 92.20°
Closest atoms and distances in Å follow each position.
Element x y z (fractional)
O 0.9311 0.6915 0.0878  1 In 2.21, 3 Gd 2.25-2.38
Gd 0.0676 0.2535 0.5603  6 O 2.25-2.38
Gd 0.4397 0.9324 0.7465  6 O 2.25-2.38
O 0.5952 0.8095 0.4648  1 In 2.17, 3 Gd 2.29-2.33
O 0.8095 0.4648 0.5952  1 In 2.17, 3 Gd 2.29-2.33
Gd 0.7465 0.4397 0.9324  6 O 2.25-2.38
O 0.4648 0.5952 0.8095  1 In 2.17, 3 Gd 2.29-2.33
Gd 0.5603 0.0676 0.2535  6 O 2.25-2.38
O 0.0878 0.9311 0.6915  1 In 2.21, 3 Gd 2.25-2.38
In 0.5000 0.5000 0.5000  6 O 2.17
O 0.4048 0.1905 0.5352  1 In 2.17, 3 Gd 2.29-2.33
O 0.6915 0.0878 0.9311  1 In 2.21, 3 Gd 2.25-2.38
O 0.3085 0.9122 0.0689  1 In 2.21, 3 Gd 2.25-2.38
In 0.0000 0.0000 0.0000  6 O 2.21
O 0.9122 0.0689 0.3085  1 In 2.21, 3 Gd 2.25-2.38
O 0.1905 0.5352 0.4048  1 In 2.17, 3 Gd 2.29-2.33
Gd 0.9324 0.7465 0.4397  6 O 2.25-2.38
O 0.0689 0.3085 0.9122  1 In 2.21, 3 Gd 2.25-2.38
O 0.5352 0.4048 0.1905  1 In 2.17, 3 Gd 2.29-2.33
Gd 0.2535 0.5603 0.0676  6 O 2.25-2.38

Properties
ΔH_f (0 K) = -3.269 eV/atom
electronic total energy = -442.60 eV per cell
space group = No. 148


{
  "formula": "Ga3Pb",
  "functional": "PBE",
  "state": "optimized geometry",
  "lattice": [[4.526, 0.000, 0.000], [0.000, 4.526, 0.000], [0.000, 0.000, 4.526]],
  "species": ["Ga", "Ga", "Pb", "Ga"],
  "frac_coords": [[0.000, 0.500, 0.500], [0.500, 0.500, 0.000], [0.000, 0.000, 0.000], [0.500, 0.000, 0.500]],
  "magnetic_moment_mub_per_cell": 0.001,
  "final_energy_ev_per_atom": -3.11
}
=====
**The records of crystals stop here**

In the beginning I started going based on my personal relationships — people I was dating — and because I was playing tennis. Then I started going based on personal and semi-professional relationships.

Most of my career I have worked in the nonprofit sector but was interfacing with corporations and their foundations so I continued to go more to build those relationships. It’s a perfect place to be instead of networking where you meet a corporate representative in a suit who doesn’t really have time to speak because there are 1,000 people there; it was a much smaller network. Plus they were bringing their husbands and wives and eventually children. They were there with people they would talk about and so I really got to know them sitting by the poolside or playing a little golf. The next time I saw them in a suit I could remind them, the last time I saw you we were sipping Absolut or the last time you saw me I was in a bikini, etc.

It definitely allowed me to build better and stronger relationships that I still have today. Some of the same sponsors and original people I met have turned into mentors and sponsors for my events.
